It remains to echo the lines further below from the one with "0.7503" to the one with "0.2296" with every line break kept.
<<<
1.
Material: Ag2SnAu2
Method: DFT, PBEsol
State: optimized geometry

Cell lengths 7.348, 7.348, 7.348 Å; angles 149.90, 149.90, 43.09 degrees
Fractional positions:
Ag (0.099, 0.099, 0.000)
Ag (0.901, 0.901, 0.000)
Sn (0.500, 0.500, 0.000)
Au (0.250, 0.750, 0.500)
Au (0.750, 0.250, 0.500)

Calculated values
crystal system = tetragonal
energy relative to the elements = 0.105 eV/atom
raw total energy = -3.641 eV per atom



2.
Material: YBe2Os
Method: DFT, PBEsol
State: optimized geometry

Cell lengths 8.412, 8.412, 8.412 Å; angles 151.54, 151.54, 40.69 degrees
Fractional positions:
Y (0.375, 0.625, 0.750)
Y (0.625, 0.375, 0.250)
Be (0.000, 0.000, 0.000)
Be (0.000, 0.000, 0.500)
Be (0.000, 0.500, 0.000)
Be (0.500, 0.000, 0.500)
Os (0.125, 0.875, 0.250)
Os (0.875, 0.125, 0.750)

Calculated values
crystal system = tetragonal
energy relative to the elements = 0.162 eV/atom
raw total energy = -6.598 eV per atom



Which formula does entry 1 have?
Ag2SnAu2

=====

VASP calculation (GGA-PBE) on an optimized crystal structure of KC2.

a = 5.7940 Å, b = 5.7940 Å, c = 5.8292 Å
α = 89.84°, β = 89.84°, γ = 26.65°
Sites, in units of the cell vectors:
C 0.3624 0.3624 0.2497
K 0.6233 0.6233 0.2502
C 0.6376 0.6376 0.7503
C 0.8828 0.8828 0.2505
K 0.3767 0.3767 0.7498
C 0.1172 0.1172 0.7495

Results
Distance to the lowest polymorph of the same formula ... 0.0 meV/atom
Energy of formation from the pure elements ... 505 meV/atom

***

VASP calculation (GGA-PBE) on an optimized crystal structure of BaCNO2.

a = 4.8909 Å, b = 4.8909 Å, c = 5.8123 Å
α = 90.00°, β = 90.00°, γ = 90.00°
Sites, in units of the cell vectors:
O 0.0000 0.5000 0.0000
C 0.5000 0.5000 0.5000
O 0.5000 0.0000 0.0000
Ba 0.0000 0.0000 0.0000
N 0.0000 0.0000 0.5000

Results
Uncorrected energy ... -0.28232 Ry per atom

***

VASP calculation (GGA-PBE) on an optimized crystal structure of NaThPdPt.

a = 4.9498 Å, b = 4.9498 Å, c = 4.9498 Å
α = 60.00°, β = 60.00°, γ = 60.00°
Sites, in units of the cell vectors:
Na 0.5000 0.5000 0.5000
Pt 0.7500 0.7500 0.7500
Th 0.0000 0.0000 0.0000
Pd 0.2500 0.2500 0.2500

Results
Energy of formation from the pure elements ... -629 meV/atom

***

VASP calculation (GGA-PBE) on an optimized crystal structure of GaBiPSe.

a = 4.0015 Å, b = 4.4924 Å, c = 5.9315 Å
α = 81.28°, β = 89.79°, γ = 89.84°
Sites, in units of the cell vectors:
Se 0.3308 0.4470 0.9129
Ga 0.8288 0.8551 0.8766
Bi 0.8286 0.9066 0.3752
P 0.3270 0.3248 0.3051

Results
Distance to the lowest polymorph of the same formula ... 202.9 meV/atom

***

VASP calculation (GGA-PBE) on an optimized crystal structure of Ca3Sb2Pt.

a = 4.5879 Å, b = 11.9084 Å, c = 12.3277 Å
α = 90.00°, β = 90.00°, γ = 90.00°
Sites, in units of the cell vectors:
Ca 0.7500 0.9514 0.1175
Sb 0.2500 0.4986 0.8054
Ca 0.2500 0.1218 0.5549
Ca 0.7500 0.8782 0.4451
Sb 0.2500 0.0014 0.3054
Pt 0.2500 0.1347 0.1229
Sb 0.2500 0.8052 0.9920
Ca 0.7500 0.2994 0.7704
Sb 0.7500 0.5014 0.1946
Sb 0.7500 0.1948 0.0080
Ca 0.7500 0.5486 0.6175
Ca 0.2500 0.0486 0.8825
Ca 0.2500 0.4514 0.3825
Sb 0.7500 0.9986 0.6946
Pt 0.7500 0.6347 0.3771
Pt 0.7500 0.8653 0.8771
Ca 0.2500 0.7994 0.7296
Sb 0.2500 0.6948 0.4920
Ca 0.2500 0.3782 0.0549
Ca 0.7500 0.2006 0.2704
Ca 0.2500 0.7006 0.2296
Pt 0.2500 0.3653 0.6229
Ca 0.7500 0.6218 0.9451
Sb 0.7500 0.3052 0.5080

Results
Uncorrected energy ... -0.32329 Ry per atom

***

VASP calculation (GGA-PBE) on an optimized crystal structure of NaCuO.

a = 3.9397 Å, b = 3.4654 Å, c = 3.4654 Å
α = 120.00°, β = 90.00°, γ = 90.00°
Sites, in units of the cell vectors:
Cu 0.1668 0.3333 0.6667
Na 0.6669 0.6667 0.3333
O 0.1663 0.0000 0.0000

Results
Uncorrected energy ... -0.30113 Ry per atom

***

VASP calculation (GGA-PBE) on an optimized crystal structure of TmAg2S2.

a = 7.7866 Å, b = 5.4377 Å, c = 5.4377 Å
α = 77.47°, β = 109.14°, γ = 109.14°
Sites, in units of the cell vectors:
Ag 0.5000 0.5000 0.0000
Tm 0.2500 0.8554 0.1446
Ag 0.0000 0.0000 0.5000
S 0.3675 0.8743 0.7137
S 0.1325 0.2863 0.1257
Ag 0.0000 0.5000 0.5000
>>>
C 0.6376 0.6376 0.7503
C 0.8828 0.8828 0.2505
K 0.3767 0.3767 0.7498
C 0.1172 0.1172 0.7495

Results
Distance to the lowest polymorph of the same formula ... 0.0 meV/atom
Energy of formation from the pure elements ... 505 meV/atom

***

VASP calculation (GGA-PBE) on an optimized crystal structure of BaCNO2.

a = 4.8909 Å, b = 4.8909 Å, c = 5.8123 Å
α = 90.00°, β = 90.00°, γ = 90.00°
Sites, in units of the cell vectors:
O 0.0000 0.5000 0.0000
C 0.5000 0.5000 0.5000
O 0.5000 0.0000 0.0000
Ba 0.0000 0.0000 0.0000
N 0.0000 0.0000 0.5000

Results
Uncorrected energy ... -0.28232 Ry per atom

***

VASP calculation (GGA-PBE) on an optimized crystal structure of NaThPdPt.

a = 4.9498 Å, b = 4.9498 Å, c = 4.9498 Å
α = 60.00°, β = 60.00°, γ = 60.00°
Sites, in units of the cell vectors:
Na 0.5000 0.5000 0.5000
Pt 0.7500 0.7500 0.7500
Th 0.0000 0.0000 0.0000
Pd 0.2500 0.2500 0.2500

Results
Energy of formation from the pure elements ... -629 meV/atom

***

VASP calculation (GGA-PBE) on an optimized crystal structure of GaBiPSe.

a = 4.0015 Å, b = 4.4924 Å, c = 5.9315 Å
α = 81.28°, β = 89.79°, γ = 89.84°
Sites, in units of the cell vectors:
Se 0.3308 0.4470 0.9129
Ga 0.8288 0.8551 0.8766
Bi 0.8286 0.9066 0.3752
P 0.3270 0.3248 0.3051

Results
Distance to the lowest polymorph of the same formula ... 202.9 meV/atom

***

VASP calculation (GGA-PBE) on an optimized crystal structure of Ca3Sb2Pt.

a = 4.5879 Å, b = 11.9084 Å, c = 12.3277 Å
α = 90.00°, β = 90.00°, γ = 90.00°
Sites, in units of the cell vectors:
Ca 0.7500 0.9514 0.1175
Sb 0.2500 0.4986 0.8054
Ca 0.2500 0.1218 0.5549
Ca 0.7500 0.8782 0.4451
Sb 0.2500 0.0014 0.3054
Pt 0.2500 0.1347 0.1229
Sb 0.2500 0.8052 0.9920
Ca 0.7500 0.2994 0.7704
Sb 0.7500 0.5014 0.1946
Sb 0.7500 0.1948 0.0080
Ca 0.7500 0.5486 0.6175
Ca 0.2500 0.0486 0.8825
Ca 0.2500 0.4514 0.3825
Sb 0.7500 0.9986 0.6946
Pt 0.7500 0.6347 0.3771
Pt 0.7500 0.8653 0.8771
Ca 0.2500 0.7994 0.7296
Sb 0.2500 0.6948 0.4920
Ca 0.2500 0.3782 0.0549
Ca 0.7500 0.2006 0.2704
Ca 0.2500 0.7006 0.2296